Friday, August 18, 2017

Ugly Duckling

## Someone pasted materials data at this point
Below is Ac2GeAs after structural relaxation, with properties calculated at the PBE-GGA level.

The space group is Cmcm (No. 63) and the conventional cell measures 4.644, 25.231 and 4.407 Å, with angles of 90.00, 90.00 and 90.00 degrees. The asymmetric unit holds Ac at (0.000, 0.066, 0.250), Ac at (0.000, 0.312, 0.250), Ge at (0.000, 0.465, 0.250) and As at (0.000, 0.188, 0.250).

Its density of states at the Fermi level is 0.566 states/eV/atom. As for the formation energy: -1.08 eV per atom.

***

Below is Ac2GeAs after structural relaxation, with properties calculated at the PBE-GGA level.

The space group is R-3m (No. 166, hexagonal axes) and the conventional cell measures 4.4907, 4.4907 and 23.2700 Å, with angles of 90.00, 90.00 and 120.00 degrees. The asymmetric unit holds Ac at (0.0000, 0.0000, 0.2471), Ge at (0.0000, 0.0000, 0.0000) and As at (0.0000, 0.0000, 0.5000).

Its density of states at the Fermi level is 0.751 states/eV/atom. As for the formation energy: -0.99 eV per atom.

***

Below is AcGeAs4 after structural relaxation, with properties calculated at the PBE-GGA level.

The space group is F-43m (No. 216) and the conventional cell measures 8.169, 8.169 and 8.169 Å, with angles of 90.00, 90.00 and 90.00 degrees. The asymmetric unit holds Ac at (0.000, 0.000, 0.000), Ge at (0.250, 0.250, 0.750) and As at (0.118, 0.118, 0.382).

Its density of states at the Fermi level is 0.631 states/eV/atom. As for the formation energy: -0.16 eV per atom.

***

Below is AcGeAs2 after structural relaxation, with properties calculated at the PBE-GGA level.

The space group is Fm-3m (No. 225) and the conventional cell measures 7.377, 7.377 and 7.377 Å, with angles of 90.00, 90.00 and 90.00 degrees. The asymmetric unit holds Ac at (0.000, 0.000, 0.000), Ge at (0.000, 0.000, 0.500) and As at (0.250, 0.250, 0.250).

Its density of states at the Fermi level is 0.903 states/eV/atom. As for the formation energy: -0.39 eV per atom.

***

Below is Ac2GeAs after structural relaxation, with properties calculated at the PBE-GGA level.

The space group is P4/mmm (No. 123) and the conventional cell measures 3.816, 3.816 and 8.087 Å, with angles of 90.00, 90.00 and 90.00 degrees. The asymmetric unit holds Ac at (0.000, 0.000, 0.235), Ge at (0.500, 0.500, 0.500) and As at (0.500, 0.500, 0.000).

Its density of states at the Fermi level is 0.499 states/eV/atom. As for the formation energy: -0.83 eV per atom.

***

Below is Ac2GeAs after structural relaxation, with properties calculated at the PBE-GGA level.

The space group is Fm-3m (No. 225) and the conventional cell measures 7.794, 7.794 and 7.794 Å, with angles of 90.00, 90.00 and 90.00 degrees. The asymmetric unit holds Ac at (0.250, 0.250, 0.250), Ge at (0.000, 0.000, 0.000) and As at (0.000, 0.000, 0.500).

Its density of states at the Fermi level is 1.309 states/eV/atom. As for the formation energy: -0.76 eV per atom.

***

Starting a new position is humbling in many ways-- I am the youngest and least experienced faculty member, so everyone has had more everything than I have.  But one perk of being the youngest is that no matter how ancient I feel with each passing day, no matter how many blank stares I get from my summer student because I referenced a show "before her time," I will always be young compared to other faculty members.

(Discussing the eclipse to come in a meeting)

Moi: But these eclipses happen not infrequently, right?  They've happened before and will happen again?

Mentor Boss: Yes.  The last one was in 1979.

Moi: (somewhat facetiously)  That's before I was born.

# These crystal structures were left in the text by mistake
Model a:
This record from Alexandria via LeMat-Bulk describes a relaxed structure of TlBiB2. The functional is PBE.

Computed properties:
- DOS(E_F) (states/eV/f.u.) = 1.6

Structure (CIF):
```
data_TlBiB2
_chemical_formula_sum 'Tl4 Bi4 B8'
_symmetry_space_group_name_H-M 'I -4 2 d'
_symmetry_Int_Tables_number 122
_symmetry_space_group_name_Hall 'I -4 2bw'
_cell_length_a 5.5615
_cell_length_b 5.5615
_cell_length_c 10.8385
_cell_angle_alpha 90.00
_cell_angle_beta 90.00
_cell_angle_gamma 90.00
loop_
_atom_site_label
_atom_site_type_symbol
_atom_site_fract_x
_atom_site_fract_y
_atom_site_fract_z
Tl1 Tl 0.0000 0.0000 0.0000
Bi1 Bi 0.0000 0.0000 0.5000
B1 B 0.2496 0.2500 0.1250
```


Model b:
This record from Alexandria via LeMat-Bulk describes a relaxed structure of TlBiB2. The functional is PBE.

Computed properties:
- DOS(E_F) (states/eV/f.u.) = 1.9

Structure (CIF):
```
data_TlBiB2
_chemical_formula_sum 'Tl4 Bi4 B8'
_symmetry_space_group_name_H-M 'F m -3 m'
_symmetry_Int_Tables_number 225
_symmetry_space_group_name_Hall '-F 4 2 3'
_cell_length_a 6.6986
_cell_length_b 6.6986
_cell_length_c 6.6986
_cell_angle_alpha 90.00
_cell_angle_beta 90.00
_cell_angle_gamma 90.00
loop_
_atom_site_label
_atom_site_type_symbol
_atom_site_fract_x
_atom_site_fract_y
_atom_site_fract_z
Tl1 Tl 0.0000 0.0000 0.0000
Bi1 Bi 0.0000 0.0000 0.5000
B1 B 0.2500 0.2500 0.2500
```


Energy ordering: model a at the bottom, the next structure 471 meV/atom above.


Model a:
This record from Alexandria via LeMat-Bulk describes a relaxed structure of TlBi2B. The functional is PBE.

Computed properties:
- DOS(E_F) (states/eV/f.u.) = 2.3

Structure (CIF):
```
data_TlBi2B
_chemical_formula_sum 'Tl4 Bi8 B4'
_symmetry_space_group_name_H-M 'F m -3 m'
_symmetry_Int_Tables_number 225
_symmetry_space_group_name_Hall '-F 4 2 3'
_cell_length_a 7.4535
_cell_length_b 7.4535
_cell_length_c 7.4535
_cell_angle_alpha 90.00
_cell_angle_beta 90.00
_cell_angle_gamma 90.00
loop_
_atom_site_label
_atom_site_type_symbol
_atom_site_fract_x
_atom_site_fract_y
_atom_site_fract_z
Tl1 Tl 0.0000 0.0000 0.0000
Bi1 Bi 0.2500 0.2500 0.2500
B1 B 0.0000 0.0000 0.5000
```


Model b:
This record from Alexandria via LeMat-Bulk describes a relaxed structure of TlBi2B. The functional is PBE.

Computed properties:
- DOS(E_F) (states/eV/f.u.) = 0.5

Structure (CIF):
```
data_TlBi2B
_chemical_formula_sum 'Tl4 Bi8 B4'
_symmetry_space_group_name_H-M 'I -4 2 d'
_symmetry_Int_Tables_number 122
_symmetry_space_group_name_Hall 'I -4 2bw'
_cell_length_a 6.4598
_cell_length_b 6.4598
_cell_length_c 11.6472
_cell_angle_alpha 90.00
_cell_angle_beta 90.00
_cell_angle_gamma 90.00
loop_
_atom_site_label
_atom_site_type_symbol
_atom_site_fract_x
_atom_site_fract_y
_atom_site_fract_z
Tl1 Tl 0.0000 0.0000 0.0000
Bi1 Bi 0.1713 0.2500 0.6250
B1 B 0.0000 0.0000 0.5000
```


Energy ordering: model b at the bottom, the next structure 448 meV/atom above.
# Back to the text

Doctor Angel (to Doctor Bear): Aw.  Joy is still a puppy!

Should Old Acquaintance

This weekend is a special weekend because I get to have not one, but three, throwback visitors from Baltimore staying at my place.  Jesse is here for Gen-Con, a large gathering of board game nerds from all over the nation, while Jamie and Greg are here because they are good friends who like to humor Jesse (and visit me!).

Though I haven't seen these guys in months-- in fact, it's been almost a year since I've seen Jamie, we soon fell into old patterns and habits.  And some patterns and habits are best left in the past and out of my one-bedroom apartment. 

Jesse: [burps loudly in succession]

Moi: Um.  Remember how I'm a woman?  And you want to pretend to be polite in front of me?

Jesse: We are too far gone.  It's too late for such things.

Saturday, August 12, 2017

____________
{"formula": "K3Tl3Pd2", "functional": "PBE", "state": "optimized geometry", "ef_ev_per_atom": -0.151, "e_tot_ev_per_atom": -2.75, "dos_ef_per_ev_cell": 10.9, "lattice_angstrom": [[9.105, 0.000, 0.000], [0.000, 16.765, 0.000], [0.000, 0.000, 6.632]], "species": ["K", "K", "K", "K", "K", "K", "K", "K", "K", "K", "K", "K", "Tl", "Tl", "Tl", "Tl", "Tl", "Tl", "Tl", "Tl", "Tl", "Tl", "Tl", "Tl", "Pd", "Pd", "Pd", "Pd", "Pd", "Pd", "Pd", "Pd"], "frac_coords": [[0.038, 0.110, 0.106], [0.038, 0.390, 0.106], [0.205, 0.250, 0.597], [0.295, 0.750, 0.097], [0.462, 0.610, 0.606], [0.462, 0.890, 0.606], [0.538, 0.110, 0.394], [0.538, 0.390, 0.394], [0.705, 0.250, 0.903], [0.795, 0.750, 0.403], [0.962, 0.610, 0.894], [0.962, 0.890, 0.894], [0.151, 0.750, 0.566], [0.173, 0.040, 0.613], [0.173, 0.460, 0.613], [0.327, 0.540, 0.113], [0.327, 0.960, 0.113], [0.349, 0.250, 0.066], [0.651, 0.750, 0.934], [0.673, 0.040, 0.887], [0.673, 0.460, 0.887], [0.827, 0.540, 0.387], [0.827, 0.960, 0.387], [0.849, 0.250, 0.434], [0.118, 0.599, 0.391], [0.118, 0.901, 0.391], [0.382, 0.099, 0.891], [0.382, 0.401, 0.891], [0.618, 0.599, 0.109], [0.618, 0.901, 0.109], [0.882, 0.099, 0.609], [0.882, 0.401, 0.609]]}
____________

Pizza Party

For the last two months, summer interns have been swarming around the office.  I even got to have one of my own.  It made me feel very grown up.  Though I suppose grown ups are not supposed to feel as utterly unprepared and clueless as I felt "supervising" my student.  To thank her for all her efforts, I took her out to a light dinner on Thursday along with a couple of tremendous research coordinators we have.

I thought that was pretty good as far as nice supervisors go.  But Paige took it to another level.  First she designed a birthday scavenger hunt for her student.  And yesterday, her student got a sendoff pizza party that exposed certain deficiencies in our staff knowledge:

[Kathleen, on her upcoming second wedding anniversary]

Kathleen: My anniversary is either the 24th or 25th... I don't remember.

Nina: This is understandable because you've been married so long.

Kathleen: For some reason, dates above 10, I just can't remember.  I told my husband that when we were picking a date.

Moi: Wait.  Do you know when Christmas is?

Paige: I can never figure it out!  Is it 24th, 25th, or 26th?

Kathleen: I know Christmas is the 25th.

Paige: Oh good.  It was the middle one.

Everyone else: [Stunned hysterics]

I don't mind being upstaged on being nice to my summer student in a setting like this.  Junk food and inane logic is the exact kind of place where I thrive.